== Data ==
........
Compound: Zr4AlC2
Source: Alexandria
Functional: PBE
Structure: relaxed

Summary:
- VASP energy (eV for the cell shown) = -121.356
- space-group type = Cmcm
- N(E_F) (states/eV per cell) = 9.0

a b c (Å): 5.982 5.982 12.014
angles (deg): 90.00 90.00 146.68
Fractional coordinates of all 14 atoms:
Zr 0.000 0.000 0.000
Zr 0.000 0.000 0.500
Zr 0.261 0.739 0.605
Zr 0.261 0.739 0.895
Zr 0.420 0.580 0.250
Zr 0.580 0.420 0.750
Zr 0.739 0.261 0.105
Zr 0.739 0.261 0.395
Al 0.110 0.890 0.250
Al 0.890 0.110 0.750
C 0.364 0.636 0.060
C 0.364 0.636 0.440
C 0.636 0.364 0.560
C 0.636 0.364 0.940

=====

Compound: Sc3SiTc
Source: Alexandria
Functional: PBE
Structure: relaxed

Summary:
- VASP energy (eV for the cell shown) = -32.241
- space-group type = Pm-3m
- relative energy among the computed polymorphs (meV per atom) = 252
- N(E_F) (states/eV per cell) = 8.7
- formation energy from raw total energies (eV/atom) = 0.508

a b c (Å): 4.928 4.928 4.928
angles (deg): 90.00 90.00 90.00
Fractional coordinates of all 5 atoms:
Sc 0.000 0.000 0.500
Sc 0.000 0.500 0.000
Sc 0.500 0.000 0.000
Si 0.000 0.000 0.000
Tc 0.500 0.500 0.500

=====

Compound: Ac6Sn3Ru2
Source: Alexandria
Functional: PBE
Structure: relaxed

Summary:
- VASP energy (eV for the cell shown) = -58.541
- space-group type = I4/mmm
- N(E_F) (states/eV per cell) = 6.1

a b c (Å): 13.632 13.632 13.632
angles (deg): 156.46 156.46 33.54
Fractional coordinates of all 11 atoms:
Ac 0.084 0.584 0.500
Ac 0.201 0.201 0.000
Ac 0.416 0.916 0.500
Ac 0.584 0.084 0.500
Ac 0.799 0.799 0.000
Ac 0.916 0.416 0.500
Sn 0.327 0.327 0.000
Sn 0.500 0.500 0.000
Sn 0.673 0.673 0.000
Ru 0.099 0.099 0.000
Ru 0.901 0.901 0.000

=====

Compound: Li5Sn5Pd
Source: Alexandria
Functional: PBE
Structure: relaxed

Summary:
- VASP energy (eV for the cell shown) = -37.464
- space-group type = Immm
- N(E_F) (states/eV per cell) = 4.0

a b c (Å): 9.112 9.112 9.112
angles (deg): 147.49 141.74 51.06
Fractional coordinates of all 11 atoms:
Li 0.000 0.000 0.000
Li 0.191 0.691 0.500
Li 0.304 0.304 0.000
Li 0.696 0.696 0.000
Li 0.809 0.309 0.500
Sn 0.102 0.852 0.251
Sn 0.399 0.148 0.251
Sn 0.500 0.500 0.000
Sn 0.601 0.852 0.749
Sn 0.898 0.148 0.749
Pd 0.500 0.000 0.500

=====

Compound: HfGe2S8
Source: Alexandria
Functional: PBE
Structure: relaxed

Summary:
- VASP energy (eV for the cell shown) = -55.776
- space-group type = C2/m
- N(E_F) (states/eV per cell) = 2.0
- formation energy from raw total energies (eV/atom) = -0.324

a b c (Å): 7.744 7.744 5.158
angles (deg): 101.10 101.10 88.64
Fractional coordinates of all 11 atoms:
Hf 0.000 0.000 0.000
Ge 0.232 0.232 0.689
Ge 0.768 0.768 0.311
S 0.098 0.770 0.310
S 0.225 0.225 0.221
S 0.230 0.902 0.690
S 0.460 0.460 0.803
S 0.540 0.540 0.197
S 0.770 0.098 0.310
S 0.775 0.775 0.779
S 0.902 0.230 0.690

=====

Compound: PrTm5Al4
Source: Alexandria
Functional: PBE
Structure: relaxed

Summary:
- VASP energy (eV for the cell shown) = -45.207
- space-group type = P4/mmm
- N(E_F) (states/eV per cell) = 8.4

a b c (Å): 3.550 3.550 19.528
angles (deg): 90.00 90.00 90.00
Fractional coordinates of all 10 atoms:
Pr 0.000 0.000 0.000
Tm 0.500 0.500 0.135
Tm 0.500 0.500 0.319
Tm 0.500 0.500 0.500
Tm 0.500 0.500 0.681
Tm 0.500 0.500 0.865
Al 0.000 0.000 0.227
Al 0.000 0.000 0.409
Al 0.000 0.000 0.591
Al 0.000 0.000 0.773

=====

Compound: PuAgAs2
Source: Alexandria
Functional: PBE
Structure: relaxed

Summary:
- VASP energy (eV for the cell shown) = -28.272
- space-group type = P4/mmm
- N(E_F) (states/eV per cell) = 9.7

a b c (Å): 4.559 4.559 3.877
angles (deg): 90.00 90.00 90.00
Fractional coordinates of all 4 atoms:
Pu 0.000 0.000 0.000
Ag 0.500 0.500 0.000
As 0.000 0.500 0.500
As 0.500 0.000 0.500

=====

Compound: Ca2SiCl
Source: Alexandria
Functional: PBE
Structure: relaxed

Summary:
- VASP energy (eV for the cell shown) = -28.888
- space-group type = I-42d
- relative energy among the computed polymorphs (meV per atom) = 275
- N(E_F) (states/eV per cell) = 0.1
........
== Work order ==
It remains to filter the material earlier on: keep the lines with the word "from".
== Outcome ==
- formation energy from raw total energies (eV/atom) = 0.508
- formation energy from raw total energies (eV/atom) = -0.324